I’m sorry this is off topic but we’re you able to get one? How long of a wait was it? My husband just had his sleep study and his follow up appointment to discuss what type of machine is at the end of this month.
If you’re able to shop around, you can order one from any supplier online and they often show which ones are currently in stock. Sometimes they’ll send an upgraded machine if that’s all they have. If you’re limited on your suppliers, it can take a few months. I’ve gotten a couple of machines this year, one for me and for my H. One came within a few days and was in stock at cpap.com (ResMed 10). The other took 3-4 weeks from Hart Medical, but their website didn’t show what was in stock or not and they sent a ResMed 11 when I ordered a ResMed 10. IMO the 10 is better for many reasons but both do their jobs just fine and are both user friendly.
Any trouble getting your doctor to write a prescription you could take anywhere? When I called and asked, they simply said they'd put me on the waitlist, but I was looking online yesterday and also seeing in stock machines. Even if my insurance won't pay anything toward it, they'd still be WAY cheaper than getting the dental device the doctor already said he thought wouldn't work for me. But I'm super confused why the doctors office didn't offer to write me a prescription to take elsewhere if there are workable machines you can buy independently (with a prescription). I need to call them and ask again. I was supposed to see the sleep doctor again soon, so I thought we'd talk then, but we had COVID in the house and now it's rescheduled for several months down the road. (I'm kinda salty about that because it seems to me we could have done contactless pickup of the device and telemedicine instructions on how to use it... but instead I'm waiting until late July.)
Is this a case of not having enough women/moms in positions of power?
YES. When women, and moms, are elected, they can actually start to affect these issues.
Think the average 70 year old white dude cares or even KNOWS about a formula shortage? First, he doesn’t know about it. Second, that’s who holds the vast majority of elected offices in this country.
Inserted here: calculated crystals:
┌──
# 1
Structure and simulated powder diffractogram of AcAgPb2O4 (a structure optimized by DFT (GGA-PBE); Cu Ka).

Structure:
```
AcAgPb2O4
1.0
0.0000 5.4570 3.6783
3.6295 0.0000 3.6783
3.6295 5.4570 0.0000
Ac Ag Pb O
1 1 2 4
Direct
0.0000 0.0000 0.0000
0.5061 0.5061 0.4939
0.2536 0.2536 0.2464
0.7536 0.7536 0.7464
0.0066 0.5015 0.9934
0.1916 0.7366 0.2634
0.5015 0.0066 0.4985
0.7366 0.1916 0.8084
```

Main lines, in order of rising 2θ (10 to 80 degrees two-theta):
| 2θ (°) | Rel. int. |
| --- | --- |
| 29.28 | 100 |
| 29.56 | 97 |
| 32.82 | 53 |
| 34.72 | 91 |
| 48.53 | 70 |
| 56.60 | 17 |
| 58.77 | 31 |
| 59.25 | 29 |



# 2
Structure and simulated powder diffractogram of Ac2AgPbO5 (a structure optimized by DFT (GGA-PBE); Cu Ka).

Structure:
```
Ac2AgPbO5
1.0
7.2205 0.0000 0.0000
0.0000 7.2205 0.0000
0.0000 0.0000 6.5155
Ac Ag Pb O
4 2 2 10
Direct
0.1791 0.3209 0.0000
0.3209 0.8209 0.0000
0.6791 0.1791 0.0000
0.8209 0.6791 0.0000
0.0000 0.0000 0.5000
0.5000 0.5000 0.5000
0.0000 0.5000 0.5000
0.5000 0.0000 0.5000
0.0000 0.0000 0.0000
0.1404 0.6404 0.2394
0.1404 0.6404 0.7606
0.3596 0.1404 0.2394
0.3596 0.1404 0.7606
0.5000 0.5000 0.0000
0.6404 0.8596 0.2394
0.6404 0.8596 0.7606
0.8596 0.3596 0.2394
0.8596 0.3596 0.7606
```

Main lines, in order of rising 2θ (10 to 80 degrees two-theta):
| 2θ (°) | Rel. int. |
| --- | --- |
| 27.38 | 40 |
| 27.62 | 21 |
| 28.26 | 100 |
| 30.91 | 44 |
| 35.15 | 22 |
| 39.28 | 32 |
| 45.12 | 22 |
| 48.94 | 23 |



# 3
Structure and simulated powder diffractogram of AcAg3Pd4O12 (a structure optimized by DFT (GGA-PBE); Cu Ka).

Structure:
```
AcAg3Pd4O12
1.0
-3.9407 3.9407 3.9407
3.9407 -3.9407 3.9407
3.9407 3.9407 -3.9407
Ac Ag Pd O
1 3 4 12
Direct
0.0000 0.0000 0.0000
0.0000 0.5000 0.5000
0.5000 0.0000 0.5000
0.5000 0.5000 0.0000
0.0000 0.0000 0.5000
0.0000 0.5000 0.0000
0.5000 0.0000 0.0000
0.5000 0.5000 0.5000
0.1245 0.8256 0.2989
0.1744 0.2989 0.4733
0.1744 0.7011 0.8755
0.2989 0.1245 0.8256
0.2989 0.4733 0.1744
0.4733 0.1744 0.2989
0.5267 0.8256 0.7011
0.7011 0.5267 0.8256
0.7011 0.8755 0.1744
0.8256 0.2989 0.1245
0.8256 0.7011 0.5267
0.8755 0.1744 0.7011
```

Main lines, in order of rising 2θ (10 to 80 degrees two-theta):
| 2θ (°) | Rel. int. |
| --- | --- |
| 15.90 | 7 |
| 32.12 | 100 |
| 36.04 | 4 |
| 42.94 | 5 |
| 46.07 | 23 |
| 57.27 | 45 |
| 67.19 | 13 |
| 76.43 | 17 |



# 4
Structure and simulated powder diffractogram of AcAg2PtO4 (a structure optimized by DFT (GGA-PBE); Cu Ka).

Structure:
```
AcAg2PtO4
1.0
-3.2583 3.4212 3.4547
3.2583 -3.4212 3.4547
3.2583 3.4212 -3.4547
Ac Ag Pt O
1 2 1 4
Direct
0.0000 0.0000 0.0000
0.2045 0.7045 0.5000
0.7955 0.2955 0.5000
0.5000 0.5000 0.0000
0.0898 0.2882 0.8016
0.4866 0.2882 0.1984
0.5134 0.7118 0.8016
0.9102 0.7118 0.1984
```

Main lines, in order of rising 2θ (10 to 80 degrees two-theta):
| 2θ (°) | Rel. int. |
| --- | --- |
| 18.80 | 25 |
| 26.05 | 42 |
| 27.37 | 56 |
| 32.11 | 100 |
| 38.14 | 32 |
| 49.91 | 36 |
| 51.46 | 27 |
| 65.16 | 16 |



# 5
└──
And third, he has never breastfed. He probably doesn't know that: a) Not every mother or baby can nurse, even if they try really hard b) once you've stopped, you can't just start back up because there isn't anything on the shelves
They probably think this is only a "real" problem for adopted babies or gay dads. Birth mothers should just suck it up and whip out a boob if things get dire.
YES. When women, and moms, are elected, they can actually start to affect these issues.
Think the average 70 year old white dude cares or even KNOWS about a formula shortage? First, he doesn’t know about it. Second, that’s who holds the vast majority of elected offices in this country.
And third, he has never breastfed. He probably doesn't know that: a) Not every mother or baby can nurse, even if they try really hard b) once you've stopped, you can't just start back up because there isn't anything on the shelves
They probably think this is only a "real" problem for adopted babies or gay dads. Birth mothers should just suck it up and whip out a boob if things get dire.
Or worse, they just figure that if you didn’t “care enough” to breastfeed your baby from the start* then it’s your own damn fault you can’t feed your baby.
(*obviously I know it’s not as simple as “caring enough” to breast feed, but a lot of men and women don’t understand the mechanics of breast feeding)
Honestly, I think it’s just not on the average (older, white) politician’s mind as an essential product. Just like childcare and the economy. Or covid vaccines for the under 5s.
It’s infuriating to see how much we’re failing parents of young kids and I can’t-believe-but-really-I-can that Democrats are floundering on this.
The whole hardline "don't make your own formula" messaging, I get it...but what actual alternative are they offering people who can't find any formula? What's the harm reduction approach here, because these babies need to eat SOMETHING.
Am I crazy?
from what I've seen from the AAP and RDs under 6mo can have preemie formula, and over 6mo can be given cows milk for a few days, or soy milk if there's a milk allergy and also up solids. If close to a year toddler formula can be used. Also a nonpreferred brand of formula is better then homemade formula.
I agree that there has to be SOME kind of homemade formula that would be ok vs nothing at all, but of the recipes I've seen circulating none of them make sense. There's lots of goats milk blended with hemp seeds, or water and sea moss blended, that terrible one from the 60s of water and corn syrup... Nothing seems close to what an infant would need. Even just diluting a bottle can have such dire consequences I can't imagine going totally off the rails with some "recipe" would do.
If you’re able to shop around, you can order one from any supplier online and they often show which ones are currently in stock. Sometimes they’ll send an upgraded machine if that’s all they have. If you’re limited on your suppliers, it can take a few months. I’ve gotten a couple of machines this year, one for me and for my H. One came within a few days and was in stock at cpap.com (ResMed 10). The other took 3-4 weeks from Hart Medical, but their website didn’t show what was in stock or not and they sent a ResMed 11 when I ordered a ResMed 10. IMO the 10 is better for many reasons but both do their jobs just fine and are both user friendly.
Any trouble getting your doctor to write a prescription you could take anywhere? When I called and asked, they simply said they'd put me on the waitlist, but I was looking online yesterday and also seeing in stock machines. Even if my insurance won't pay anything toward it, they'd still be WAY cheaper than getting the dental device the doctor already said he thought wouldn't work for me. But I'm super confused why the doctors office didn't offer to write me a prescription to take elsewhere if there are workable machines you can buy independently (with a prescription). I need to call them and ask again. I was supposed to see the sleep doctor again soon, so I thought we'd talk then, but we had COVID in the house and now it's rescheduled for several months down the road. (I'm kinda salty about that because it seems to me we could have done contactless pickup of the device and telemedicine instructions on how to use it... but instead I'm waiting until late July.)
No. It was very similar to needing a medication. You could contact the DME they sent it to and ask for a copy from them and go elsewhere.
Edit: it sounds like the doctor office also is providing the machine? I’d insistently ask for a copy to shop elsewhere or ask them to send it to the supplier of your choice. Then ask that supplier for a copy. Maybe if they send it right to a supplier, they’ll be more willing to help?
I just read that Biden invoked the production defense act to address the shortage and is also providing transport to ship from other approved countries. Hopefully these things will help.